-- Material --
=====
Record 1
DFT (GGA+U) results for a geometry-optimized LiCoPO4 structure.

abc: 10.511 10.511 12.090
angles: 90.00 90.00 120.00
Fractional coordinates of all 84 atoms:
1 O 0.395 0.108 0.945
2 Li 0.000 0.745 0.833
3 Co 0.000 0.000 0.500
4 O 0.892 0.287 0.278
5 P 0.495 0.247 0.333
6 P 0.000 0.756 0.333
7 O 0.808 0.928 0.088
8 P 0.753 0.247 0.667
9 O 0.102 0.698 0.732
10 O 0.102 0.404 0.934
11 Co 0.500 0.500 0.342
12 Li 0.745 0.000 0.500
13 O 0.302 0.898 0.601
14 Co 0.000 0.500 0.008
15 O 0.713 0.605 0.612
16 O 0.120 0.192 0.755
17 Co 0.500 0.000 0.325
18 Li 0.499 0.750 0.833
19 O 0.302 0.404 0.066
20 Li 0.750 0.499 0.500
21 O 0.698 0.596 0.066
22 O 0.108 0.395 0.388
23 O 0.192 0.072 0.088
24 O 0.713 0.108 0.055
25 P 0.000 0.244 0.333
26 O 0.808 0.880 0.579
27 Li 0.250 0.501 0.500
28 O 0.617 0.201 0.743
29 P 0.244 0.244 0.667
30 O 0.880 0.808 0.755
31 O 0.892 0.605 0.388
32 O 0.928 0.808 0.245
33 O 0.698 0.102 0.601
34 O 0.201 0.617 0.590
35 Co 0.000 0.000 0.167
36 O 0.108 0.713 0.278
37 O 0.880 0.072 0.912
38 O 0.072 0.880 0.421
39 O 0.120 0.928 0.912
40 Co 0.500 0.500 0.667
41 O 0.928 0.120 0.421
42 O 0.287 0.395 0.612
43 O 0.404 0.102 0.399
44 Li 0.745 0.745 0.167
45 Co 0.500 0.000 0.675
46 O 0.287 0.892 0.055
47 Co 0.500 0.000 0.000
48 O 0.596 0.898 0.399
49 O 0.605 0.713 0.722
50 Li 0.501 0.250 0.833
51 O 0.192 0.120 0.579
52 Li 0.255 0.000 0.500
53 Co 0.500 0.500 0.992
54 O 0.898 0.596 0.934
55 O 0.416 0.799 0.257
56 O 0.584 0.383 0.410
57 Co 0.000 0.500 0.658
58 O 0.383 0.584 0.924
59 O 0.416 0.617 0.410
60 P 0.247 0.495 0.000
61 P 0.247 0.753 0.667
62 Li 0.255 0.255 0.167
63 P 0.756 0.756 0.667
64 O 0.395 0.287 0.722
65 P 0.505 0.753 0.333
66 O 0.201 0.584 0.076
67 O 0.584 0.201 0.257
68 O 0.404 0.302 0.268
69 P 0.244 0.000 0.000
70 O 0.799 0.383 0.590
71 O 0.383 0.799 0.743
72 O 0.072 0.192 0.245
73 Li 0.250 0.750 0.167
74 Li 0.000 0.255 0.833
75 O 0.596 0.698 0.268
76 P 0.756 0.000 0.000
77 O 0.898 0.302 0.732
78 Li 0.750 0.250 0.167
79 O 0.799 0.416 0.076
80 P 0.753 0.505 0.000
81 O 0.617 0.416 0.924
82 O 0.605 0.892 0.945
83 Co 0.000 0.000 0.833
84 Co 0.000 0.500 0.333

E_form in kJ/mol of formula units: -1558
Electronic total energy in eV/f.u.: -45.99
Total moment in μB/atom: 0.429
ΔE to the lowest computed polymorph in meV per atom: 100.8
Space-group type: No. 181

Record 2
DFT (GGA+U) results for a geometry-optimized Ba2Fe5BiPb2O13 structure.

abc: 13.836 13.836 5.810
angles: 89.06 89.06 16.52
Fractional coordinates of all 23 atoms:
1 Fe 0.602 0.602 0.493
2 O 0.109 0.109 0.495
3 Ba 0.102 0.102 0.995
4 O 0.450 0.450 0.739
5 O 0.220 0.220 0.946
6 Pb 0.806 0.806 0.502
7 O 0.891 0.891 0.505
8 Fe 0.398 0.398 0.507
9 Pb 0.194 0.194 0.498
10 O 0.662 0.662 0.239
11 O 0.550 0.550 0.261
12 Bi 0.000 0.000 0.500
13 O 0.338 0.338 0.761
14 Fe 0.500 0.500 0.000
15 O 0.336 0.336 0.278
16 O 0.000 0.000 0.000
17 O 0.449 0.449 0.265
18 Fe 0.707 0.707 0.987
19 Ba 0.898 0.898 0.005
20 O 0.664 0.664 0.722
21 Fe 0.293 0.293 0.013
22 O 0.551 0.551 0.735
23 O 0.780 0.780 0.054

E_form in kJ/mol of formula units: -4064
Electronic total energy in eV/f.u.: -143.74
Total moment in μB/atom: 1.087
Space-group type: No. 12

Record 3
DFT (GGA+U) results for a geometry-optimized MgMn8O13F3 structure.

abc: 6.715 5.758 7.056
angles: 84.81 94.05 90.09
Fractional coordinates of all 25 atoms:
1 Mn 0.861 0.162 0.128
2 O 0.181 0.618 0.108
3 F 0.931 0.392 0.367
4 Mg 0.880 0.901 0.608
5 O 0.678 0.632 0.599
6 Mn 0.133 0.667 0.372
7 O 0.824 0.392 0.903
8 F 0.337 0.363 0.405
9 O 0.414 0.387 0.851
10 O 0.071 0.628 0.641
11 O 0.428 0.878 0.831
12 Mn 0.161 0.871 0.914
13 Mn 0.879 0.380 0.646
14 O 0.345 0.872 0.426
15 F 0.841 0.859 0.902
16 Mn 0.592 0.823 0.329
17 O 0.102 0.112 0.691
18 O 0.881 0.887 0.319
19 O 0.676 0.150 0.590
20 Mn 0.608 0.619 0.867
21 Mn 0.365 0.345 0.115
22 O 0.145 0.125 0.090
23 Mn 0.397 0.134 0.634
24 O 0.576 0.108 0.159
25 O 0.575 0.576 0.133

E_form in kJ/mol of formula units: -4963
Electronic total energy in eV/f.u.: -172.74
=====
-- Exercise --
What is needed: say how many lines of the calculation results further above hold the word "MgMn8O13F3", as a bare number.
-- Reply --
1